• Material:
The following is a DFT calculation (GGA-PBE) of RbMg6Mo after structural relaxation.

Structure (extended XYZ):
```
8
Lattice="-2.622 -5.607 -3.126 -2.077 -2.454 6.144 -3.664 1.966 -0.453" Properties=species:S:1:pos:R:3 pbc="T T T"
Mg -1.387 -2.380 0.891
Mg -2.461 -4.676 -0.389
Mg -2.870 -0.244 2.845
Mg -2.238 -3.385 3.407
Mg -3.311 -5.681 2.127
Mg -3.143 -1.821 -1.790
Mo -4.181 -3.048 1.282
Rb -1.832 0.983 -0.227
```

Results
Energy relative to the elements in meV per atom: 397
Space-group type: P4/mmm, No. 123
Excess energy over the best structure of this formula in the dataset in meV/atom: 0.0
Density in g/cm³: 2.7
Total energy in Ry/atom: -0.16766

• Exercise:
Set down the part of the calculation results above that starts with the line with "Structure (extended" and stops after the one with "this formula".

• Reply:
Structure (extended XYZ):
```
8
Lattice="-2.622 -5.607 -3.126 -2.077 -2.454 6.144 -3.664 1.966 -0.453" Properties=species:S:1:pos:R:3 pbc="T T T"
Mg -1.387 -2.380 0.891
Mg -2.461 -4.676 -0.389
Mg -2.870 -0.244 2.845
Mg -2.238 -3.385 3.407
Mg -3.311 -5.681 2.127
Mg -3.143 -1.821 -1.790
Mo -4.181 -3.048 1.282
Rb -1.832 0.983 -0.227
```

Results
Energy relative to the elements in meV per atom: 397
Space-group type: P4/mmm, No. 123
Excess energy over the best structure of this formula in the dataset in meV/atom: 0.0